- - -
Entry 1:
# C28H80N10O9

A cluster of 9 separate species, C28H80N10O9 in total in a non-equilibrium geometry (the ωB97M-V functional and the def2-TZVPD basis, the Open Molecules 2025 dataset).

Structure (SMILES): COC[C@H](C)N.COC[C@H](C)N.COC[C@H](C)N.COC[C@H](C)N.COC[C@H](C)N.COC[C@H](C)N.NC(N)=O.NC(N)=O.CCO
HOMO energy: -8.019 eV
2S+1: 1
HOMO-LUMO gap: 8.1 eV
Total charge: 0

```
127
C28H80N10O9 | the Open Molecules 2025 dataset | the ωB97M-V functional and the def2-TZVPD basis
C 3.33 1.97 -3.63
O 3.32 1.90 -2.23
C 2.31 2.73 -1.74
C 2.25 2.51 -0.24
C 0.91 2.85 0.38
N 3.36 3.10 0.50
H 2.47 1.50 -4.10
H 4.22 1.41 -3.97
H 3.53 2.98 -4.00
H 2.51 3.79 -1.96
H 1.33 2.55 -2.21
H 2.40 1.42 -0.16
H 0.67 3.91 0.22
H 0.93 2.76 1.47
H 0.15 2.20 -0.05
H 3.22 4.10 0.68
H 4.18 3.11 -0.11
C -3.10 -4.42 -0.34
O -2.95 -5.77 0.08
C -2.52 -6.61 -0.96
C -2.48 -8.05 -0.47
C -1.48 -8.20 0.69
N -2.08 -8.82 -1.63
H -3.60 -4.37 -1.32
H -2.12 -3.93 -0.38
H -3.78 -3.92 0.34
H -3.19 -6.61 -1.84
H -1.48 -6.37 -1.27
H -3.47 -8.31 -0.10
H -1.74 -9.05 1.31
H -1.50 -7.29 1.30
H -0.48 -8.38 0.28
H -1.46 -8.33 -2.26
H -1.68 -9.73 -1.44
C -1.92 5.93 -0.60
O -1.77 7.15 -1.25
C -0.92 7.12 -2.38
C 0.49 6.71 -2.05
C 1.16 7.70 -1.10
N 1.24 6.66 -3.32
H -1.57 5.07 -1.18
H -2.98 5.73 -0.40
H -1.38 5.96 0.35
H -1.42 6.52 -3.14
H -0.95 8.14 -2.75
H 0.48 5.73 -1.54
H 0.51 7.85 -0.23
H 1.30 8.67 -1.58
H 2.08 7.29 -0.69
H 2.22 6.48 -3.14
H 0.85 5.99 -3.97
C 6.18 -0.95 3.41
O 5.13 -0.25 4.16
C 4.75 0.98 3.65
C 3.30 1.26 3.93
C 2.39 0.16 3.37
N 2.91 2.61 3.50
H 5.84 -1.98 3.33
H 7.07 -0.91 4.03
H 6.34 -0.51 2.43
H 5.35 1.79 4.12
H 4.99 1.14 2.59
H 3.09 1.24 5.00
H 1.38 0.25 3.79
H 2.78 -0.82 3.63
H 2.23 0.22 2.29
H 3.02 2.70 2.47
H 3.72 3.19 3.76
C -2.70 0.00 -3.55
O -1.75 -0.53 -2.64
C -0.68 -1.20 -3.31
C 0.40 -1.58 -2.27
C 1.41 -0.44 -2.15
N 1.07 -2.83 -2.52
H -3.07 -0.70 -4.29
H -2.30 0.90 -4.03
H -3.49 0.37 -2.89
H -1.11 -2.12 -3.73
H -0.21 -0.60 -4.10
H -0.07 -1.55 -1.29
H 2.09 -0.62 -1.32
H 0.90 0.51 -1.94
H 2.01 -0.30 -3.05
H 1.42 -2.88 -3.47
H 0.38 -3.58 -2.49
C 2.08 -2.81 1.78
O 1.96 -3.86 2.70
C 0.81 -4.67 2.57
C -0.51 -4.02 2.92
C -0.64 -3.55 4.35
N -1.60 -4.87 2.51
H 3.03 -2.33 2.02
H 1.24 -2.12 1.76
H 2.33 -3.15 0.76
H 0.78 -5.18 1.59
H 0.94 -5.52 3.26
H -0.56 -3.08 2.32
H -0.83 -4.34 5.09
H -1.49 -2.88 4.48
H 0.25 -3.01 4.71
H -2.53 -4.56 2.81
H -1.69 -5.02 1.52
N -4.55 -3.13 5.24
C -4.21 -2.65 3.98
N -3.97 -1.29 3.91
O -4.19 -3.40 3.01
H -4.82 -4.09 5.32
H -4.74 -2.47 5.97
H -3.70 -0.90 3.03
H -3.79 -0.84 4.79
N -1.86 4.01 -5.93
C -1.71 3.97 -4.55
N -2.84 3.59 -3.84
O -0.66 4.24 -3.99
H -2.74 3.76 -6.34
H -1.11 4.31 -6.51
H -3.71 3.33 -4.26
H -2.86 3.65 -2.84
C -1.79 2.68 1.17
C -1.96 2.00 -0.13
O -1.27 0.76 -0.07
H -2.22 2.06 1.98
H -2.26 3.66 1.22
H -0.77 2.71 1.58
H -1.55 2.60 -0.96
H -3.02 1.81 -0.34
H -1.43 0.26 -0.88
```

***

Entry 2:
# F2H2N2O2S

An isolated molecule of F2H2N2O2S in a non-equilibrium geometry (the ωB97M-V functional and the def2-TZVPD basis, the Open Molecules 2025 dataset).

Structure (SMILES): NS(=O)(=O)N(F)F
HOMO energy: -10.941 eV
2S+1: 1
HOMO-LUMO gap: 11.0 eV
Total charge: 0

```
9
F2H2N2O2S | the Open Molecules 2025 dataset | the ωB97M-V functional and the def2-TZVPD basis
N 1.11 -0.71 0.70
S 0.09 -0.51 -0.63
O 0.76 -0.32 -1.88
O -1.06 -1.56 -0.65
N -0.63 1.17 -0.30
F -1.96 1.27 -0.69
F -0.63 1.40 1.01
H 1.72 0.15 0.80
H 0.60 -0.89 1.65
```

***

Entry 3:
# C4H12

A cluster of 2 separate species, C4H12 in total in a non-equilibrium geometry (the ωB97M-V functional and the def2-TZVPD basis, the Open Molecules 2025 dataset).

Structure (SMILES): CC.CC
HOMO energy: -11.654 eV
2S+1: 1
HOMO-LUMO gap: 12.8 eV
Total charge: 0

```
16
C4H12 | the Open Molecules 2025 dataset | the ωB97M-V functional and the def2-TZVPD basis
C 0.06 1.72 2.17
C -0.97 1.59 1.06
H 0.69 0.83 2.16
H 0.72 2.57 1.97
H -0.37 1.90 3.15
H -0.45 1.61 0.10
H -1.48 0.64 1.03
H -1.72 2.36 0.97
C 0.67 -2.31 -1.29
C 0.21 -1.03 -1.95
H 0.35 -3.18 -1.81
H 1.76 -2.38 -1.27
- - -

The reader should retype everything further up verbatim.

Entry 1:
# C28H80N10O9

A cluster of 9 separate species, C28H80N10O9 in total in a non-equilibrium geometry (the ωB97M-V functional and the def2-TZVPD basis, the Open Molecules 2025 dataset).

Structure (SMILES): COC[C@H](C)N.COC[C@H](C)N.COC[C@H](C)N.COC[C@H](C)N.COC[C@H](C)N.COC[C@H](C)N.NC(N)=O.NC(N)=O.CCO
HOMO energy: -8.019 eV
2S+1: 1
HOMO-LUMO gap: 8.1 eV
Total charge: 0

```
127
C28H80N10O9 | the Open Molecules 2025 dataset | the ωB97M-V functional and the def2-TZVPD basis
C 3.33 1.97 -3.63
O 3.32 1.90 -2.23
C 2.31 2.73 -1.74
C 2.25 2.51 -0.24
C 0.91 2.85 0.38
N 3.36 3.10 0.50
H 2.47 1.50 -4.10
H 4.22 1.41 -3.97
H 3.53 2.98 -4.00
H 2.51 3.79 -1.96
H 1.33 2.55 -2.21
H 2.40 1.42 -0.16
H 0.67 3.91 0.22
H 0.93 2.76 1.47
H 0.15 2.20 -0.05
H 3.22 4.10 0.68
H 4.18 3.11 -0.11
C -3.10 -4.42 -0.34
O -2.95 -5.77 0.08
C -2.52 -6.61 -0.96
C -2.48 -8.05 -0.47
C -1.48 -8.20 0.69
N -2.08 -8.82 -1.63
H -3.60 -4.37 -1.32
H -2.12 -3.93 -0.38
H -3.78 -3.92 0.34
H -3.19 -6.61 -1.84
H -1.48 -6.37 -1.27
H -3.47 -8.31 -0.10
H -1.74 -9.05 1.31
H -1.50 -7.29 1.30
H -0.48 -8.38 0.28
H -1.46 -8.33 -2.26
H -1.68 -9.73 -1.44
C -1.92 5.93 -0.60
O -1.77 7.15 -1.25
C -0.92 7.12 -2.38
C 0.49 6.71 -2.05
C 1.16 7.70 -1.10
N 1.24 6.66 -3.32
H -1.57 5.07 -1.18
H -2.98 5.73 -0.40
H -1.38 5.96 0.35
H -1.42 6.52 -3.14
H -0.95 8.14 -2.75
H 0.48 5.73 -1.54
H 0.51 7.85 -0.23
H 1.30 8.67 -1.58
H 2.08 7.29 -0.69
H 2.22 6.48 -3.14
H 0.85 5.99 -3.97
C 6.18 -0.95 3.41
O 5.13 -0.25 4.16
C 4.75 0.98 3.65
C 3.30 1.26 3.93
C 2.39 0.16 3.37
N 2.91 2.61 3.50
H 5.84 -1.98 3.33
H 7.07 -0.91 4.03
H 6.34 -0.51 2.43
H 5.35 1.79 4.12
H 4.99 1.14 2.59
H 3.09 1.24 5.00
H 1.38 0.25 3.79
H 2.78 -0.82 3.63
H 2.23 0.22 2.29
H 3.02 2.70 2.47
H 3.72 3.19 3.76
C -2.70 0.00 -3.55
O -1.75 -0.53 -2.64
C -0.68 -1.20 -3.31
C 0.40 -1.58 -2.27
C 1.41 -0.44 -2.15
N 1.07 -2.83 -2.52
H -3.07 -0.70 -4.29
H -2.30 0.90 -4.03
H -3.49 0.37 -2.89
H -1.11 -2.12 -3.73
H -0.21 -0.60 -4.10
H -0.07 -1.55 -1.29
H 2.09 -0.62 -1.32
H 0.90 0.51 -1.94
H 2.01 -0.30 -3.05
H 1.42 -2.88 -3.47
H 0.38 -3.58 -2.49
C 2.08 -2.81 1.78
O 1.96 -3.86 2.70
C 0.81 -4.67 2.57
C -0.51 -4.02 2.92
C -0.64 -3.55 4.35
N -1.60 -4.87 2.51
H 3.03 -2.33 2.02
H 1.24 -2.12 1.76
H 2.33 -3.15 0.76
H 0.78 -5.18 1.59
H 0.94 -5.52 3.26
H -0.56 -3.08 2.32
H -0.83 -4.34 5.09
H -1.49 -2.88 4.48
H 0.25 -3.01 4.71
H -2.53 -4.56 2.81
H -1.69 -5.02 1.52
N -4.55 -3.13 5.24
C -4.21 -2.65 3.98
N -3.97 -1.29 3.91
O -4.19 -3.40 3.01
H -4.82 -4.09 5.32
H -4.74 -2.47 5.97
H -3.70 -0.90 3.03
H -3.79 -0.84 4.79
N -1.86 4.01 -5.93
C -1.71 3.97 -4.55
N -2.84 3.59 -3.84
O -0.66 4.24 -3.99
H -2.74 3.76 -6.34
H -1.11 4.31 -6.51
H -3.71 3.33 -4.26
H -2.86 3.65 -2.84
C -1.79 2.68 1.17
C -1.96 2.00 -0.13
O -1.27 0.76 -0.07
H -2.22 2.06 1.98
H -2.26 3.66 1.22
H -0.77 2.71 1.58
H -1.55 2.60 -0.96
H -3.02 1.81 -0.34
H -1.43 0.26 -0.88
```

***

Entry 2:
# F2H2N2O2S

An isolated molecule of F2H2N2O2S in a non-equilibrium geometry (the ωB97M-V functional and the def2-TZVPD basis, the Open Molecules 2025 dataset).

Structure (SMILES): NS(=O)(=O)N(F)F
HOMO energy: -10.941 eV
2S+1: 1
HOMO-LUMO gap: 11.0 eV
Total charge: 0

```
9
F2H2N2O2S | the Open Molecules 2025 dataset | the ωB97M-V functional and the def2-TZVPD basis
N 1.11 -0.71 0.70
S 0.09 -0.51 -0.63
O 0.76 -0.32 -1.88
O -1.06 -1.56 -0.65
N -0.63 1.17 -0.30
F -1.96 1.27 -0.69
F -0.63 1.40 1.01
H 1.72 0.15 0.80
H 0.60 -0.89 1.65
```

***

Entry 3:
# C4H12

A cluster of 2 separate species, C4H12 in total in a non-equilibrium geometry (the ωB97M-V functional and the def2-TZVPD basis, the Open Molecules 2025 dataset).

Structure (SMILES): CC.CC
HOMO energy: -11.654 eV
2S+1: 1
HOMO-LUMO gap: 12.8 eV
Total charge: 0

```
16
C4H12 | the Open Molecules 2025 dataset | the ωB97M-V functional and the def2-TZVPD basis
C 0.06 1.72 2.17
C -0.97 1.59 1.06
H 0.69 0.83 2.16
H 0.72 2.57 1.97
H -0.37 1.90 3.15
H -0.45 1.61 0.10
H -1.48 0.64 1.03
H -1.72 2.36 0.97
C 0.67 -2.31 -1.29
C 0.21 -1.03 -1.95
H 0.35 -3.18 -1.81
H 1.76 -2.38 -1.27